Data:
Record 1
# Sm7Dy2Ho2

A relaxed structure of Sm7Dy2Ho2 (GGA-PBE, the Alexandria database).

Unit cell a=8.5425 b=10.8885 c=8.1724 alpha=90.00 beta=103.49 gamma=90.00
With the nearest neighbours (Å) after each atom.
Space group C2/m (No. 12)
Symmetry-distinct sites (fractional):
1 Sm 0.0000 0.0000 0.0000 x2  2 Dy 3.49, 4 Sm 3.66
2 Sm 0.1966 0.2863 0.1717 x8  2 Sm 3.25-3.59, 3 Dy 3.36-3.63, 2 Ho 3.37-3.48
3 Sm 0.1977 0.0000 0.4849 x4  4 Ho 3.44-3.59, 3 Sm 3.44-3.59, 2 Dy 3.45-3.79
4 Dy 0.0867 0.5000 0.8229 x4  8 Sm 3.36-3.63, 2 Ho 3.45, 1 Dy 3.55
5 Ho 0.0000 0.2891 0.5000 x4  8 Sm 3.37-3.59, 2 Dy 3.45

Properties
Calculated formation energy = 140.5 meV/atom
Distance to the lowest polymorph of the same formula = 0 kJ/mol of formula units

---

Record 2
# Sm8Dy2Ho

A relaxed structure of Sm8Dy2Ho (GGA-PBE, the Alexandria database).

Unit cell a=11.1496 b=7.4223 c=9.2777 alpha=90.00 beta=106.34 gamma=90.00
With the nearest neighbours (Å) after each atom.
Space group C2/m (No. 12)
Symmetry-distinct sites (fractional):
1 Sm 0.0688 0.2189 0.2738 x8  1 Ho 3.21, 4 Sm 3.25-3.52, 2 Dy 3.46-3.49
2 Sm 0.1739 0.0000 0.6231 x4  7 Sm 3.43-3.52, 3 Dy 3.49-3.73
3 Sm 0.1906 0.0000 0.9982 x4  5 Sm 3.43-3.64, 1 Ho 3.44, 1 Dy 3.46
4 Dy 0.1421 0.5000 0.6256 x4  1 Dy 3.36, 10 Sm 3.46-3.76
5 Ho 0.0000 0.5000 0.0000 x2  6 Sm 3.21-3.44

Properties
Calculated formation energy = 124.0 meV/atom
Distance to the lowest polymorph of the same formula = 0 kJ/mol of formula units

=====

1.
A plane-wave DFT calculation with PBE-GGA was carried out for a relaxed K2NdGaI6 crystal.

Results
- Raw total energy: -94.59 eV for the cell shown
- Total moment: 0.0 μB/cell
- ΔE_f (raw): -1.22 eV/atom
- Mass density: 3.69 g/cm³
- Calculated volume: 1421.9 Å³ per cell
- N(E_F): 0.00 states/eV/cell

a = 8.6118 Å, b = 8.6118 Å, c = 22.1381 Å
α = 90.00°, β = 90.00°, γ = 120.00°
Space group R3 (No. 146, hexagonal axes)
Unique sites:
K (0.0000, 0.0000, 0.0000)
K (0.0000, 0.0000, 0.4922)
Nd (0.0000, 0.0000, 0.6999)
Ga (0.0000, 0.0000, 0.2054)
I (0.0051, 0.3976, 0.4444)
I (0.0662, 0.7107, 0.2801)


2.
A plane-wave DFT calculation with PBE-GGA was carried out for a relaxed KNpGa2I6 crystal.

Results
- Raw total energy: -111.42 eV for the cell shown
- Total moment: 12.0 μB/cell
- ΔE_f (raw): -0.77 eV/atom
- Mass density: 4.31 g/cm³
- Calculated volume: 1361.1 Å³ per cell
- N(E_F): 10.08 states/eV/cell

a = 8.2948 Å, b = 8.2948 Å, c = 22.8403 Å
α = 90.00°, β = 90.00°, γ = 120.00°
Space group R3 (No. 146, hexagonal axes)
Unique sites:
K (0.0000, 0.0000, 0.0000)
Np (0.0000, 0.0000, 0.4896)
Ga (0.0000, 0.0000, 0.3044)
Ga (0.0000, 0.0000, 0.8109)
I (0.0093, 0.6507, 0.2291)
I (0.0261, 0.3939, 0.0680)


3.
A plane-wave DFT calculation with PBE-GGA was carried out for a relaxed KNpGaI6 crystal.

Results
- Raw total energy: -67.69 eV for the cell shown
- Total moment: 6.0 μB/cell
- ΔE_f (raw): -0.83 eV/atom
- Mass density: 4.19 g/cm³
- Calculated volume: 877.5 Å³ per cell
- N(E_F): 8.58 states/eV/cell

a = 7.820 Å, b = 7.820 Å, c = 14.348 Å
α = 90.00°, β = 90.00°, γ = 90.00°
Space group P4_2nm (No. 102)
Unique sites:
K (0.000, 0.000, 0.000)
Np (0.000, 0.000, 0.336)
Ga (0.000, 0.000, 0.664)
I (0.180, 0.180, 0.495)
I (0.199, 0.199, 0.192)
I (0.228, 0.228, 0.828)


4.
A plane-wave DFT calculation with PBE-GGA was carried out for a relaxed KGaIO6 crystal.

Results
- Raw total energy: -43.51 eV for the cell shown
- Total moment: 1.1 μB/cell
- ΔE_f (raw): -0.90 eV/atom
- Mass density: 3.85 g/cm³
- Calculated volume: 142.9 Å³ per cell
- N(E_F): 6.96 states/eV/cell

a = 5.2178 Å, b = 5.2178 Å, c = 6.0607 Å
α = 90.00°, β = 90.00°, γ = 120.00°
Space group P312 (No. 149)
Unique sites:
K (0.0000, 0.0000, 0.0000)
Ga (0.3333, 0.6667, 0.5000)
I (0.6667, 0.3333, 0.5000)
O (0.3895, 0.0155, 0.6800)


5.
A plane-wave DFT calculation with PBE-GGA was carried out for a relaxed K2GaIO6 crystal.

Results
- Raw total energy: -286.05 eV for the cell shown
- Total moment: 0.0 μB/cell
- ΔE_f (raw): -1.12 eV/atom

What to do:
Your job: say how many lines of the rows earlier on hold the word "Symmetry-distinct", as a bare number.

Done:
2